383. Auktion
14.–15. & 18.–23. März 2024 in Wiesbaden
- Hauptkatalog (3340) Apply Hauptkatalog filter
- Luft- und Zeppelinpost – inklusive der Sammlung der Familie Sieger (569) Apply Luft- und Zeppelinpost – inklusive der Sammlung der Familie Sieger filter
- Chile – Die Colon Ausgaben (Teil II) (46) Apply Chile – Die Colon Ausgaben (Teil II) filter
- Dänisch Westindien 1806–1917 – Die Sammlung "Baghira" (204) Apply Dänisch Westindien 1806–1917 – Die Sammlung "Baghira" filter
- Dauerserie Posthorn 1951 – Eine Spezialsammlung (138) Apply Dauerserie Posthorn 1951 – Eine Spezialsammlung filter
- Departements Conquis – Die Sammlung Wilma Droemont (75) Apply Departements Conquis – Die Sammlung Wilma Droemont filter
- Freie Hansestadt Bremen – Die Sammlung Karl-Hillard Geuther (Teil III) (71) Apply Freie Hansestadt Bremen – Die Sammlung Karl-Hillard Geuther (Teil III) filter
- Deutsche Post in Marokko & Deutsche Post in der Türkei – Die Sammlung "Waldersee" (100) Apply Deutsche Post in Marokko & Deutsche Post in der Türkei – Die Sammlung "Waldersee" filter
- Deutsche Post in China und Kiautschou – Die Transsibirische Eisenbahn und Kriegspost – Die Sammlung Dr. Heinz Findeiss (125) Apply Deutsche Post in China und Kiautschou – Die Transsibirische Eisenbahn und Kriegspost – Die Sammlung Dr. Heinz Findeiss filter
- Deutsche Reichspost – Brustschildezeit – Die Sammlung Michael Rehme (Teil II) (360) Apply Deutsche Reichspost – Brustschildezeit – Die Sammlung Michael Rehme (Teil II) filter
- Deutsch-Südwestafrika – Stempelsammlung auf Privater- und Feldpost (94) Apply Deutsch-Südwestafrika – Stempelsammlung auf Privater- und Feldpost filter
- Deutschland 1849–2000 – Deutsche Kolonien mit Besetzungsausgaben (G.R.I. und MAFIA), Deutsche Nebengebiete, Deutschland nach 1945 – Die Sammlung Erik B. Nagel (Teil III) (758) Apply Deutschland 1849–2000 – Deutsche Kolonien mit Besetzungsausgaben (G.R.I. und MAFIA), Deutsche Nebengebiete, Deutschland nach 1945 – Die Sammlung Erik B. Nagel (Teil III) filter
- Großherzogtum Baden – Frankaturen und Postgeschichte – Die Sammlung Klaus Peter Geis (97) Apply Großherzogtum Baden – Frankaturen und Postgeschichte – Die Sammlung Klaus Peter Geis filter
- Helgoland – Die Sammlung Dr. Hans Friedrich Häuser (Teil II) (215) Apply Helgoland – Die Sammlung Dr. Hans Friedrich Häuser (Teil II) filter
- Königreich Bayern – Postgeschichte und Social Philately 1806–1875 – Die Sammlung Oliver Reifenrath (99) Apply Königreich Bayern – Postgeschichte und Social Philately 1806–1875 – Die Sammlung Oliver Reifenrath filter
- Ludwig van Beethoven – Die Sammlung Yukio Onuma (69) Apply Ludwig van Beethoven – Die Sammlung Yukio Onuma filter
- Registered letters of the German foreign post offices and colonies (part III) (270) Apply Registered letters of the German foreign post offices and colonies (part III) filter
- Schleswig-Holstein 1850–1867 – Die Sammlung Rolf Beyerodt (244) Apply Schleswig-Holstein 1850–1867 – Die Sammlung Rolf Beyerodt filter
- Olympische Sommerspiele – Die Sammlung Fredrik C. Schreuder (Teil II) (114) Apply Olympische Sommerspiele – Die Sammlung Fredrik C. Schreuder (Teil II) filter
- Die Sammlung ERIVAN - Altdeutsche Staaten - Auktion der verpassten Gelegenheiten (160) Apply Die Sammlung ERIVAN - Altdeutsche Staaten - Auktion der verpassten Gelegenheiten filter
- Die Lippischen Fürstentümer, Deutschland ab 1849 – Die Sammlungen Gustav Strunk (Teil II) (111) Apply Die Lippischen Fürstentümer, Deutschland ab 1849 – Die Sammlungen Gustav Strunk (Teil II) filter
- Volkswagen – ein Deutscher Mythos – Die Sammlung Dr. Edo-Meino Eden (61) Apply Volkswagen – ein Deutscher Mythos – Die Sammlung Dr. Edo-Meino Eden filter
- Alle Welt (54) Apply Alle Welt filter
- Altdeutsche Staaten (1654) Apply Altdeutsche Staaten filter
- Britisch Commonwealth (517) Apply Britisch Commonwealth filter
- Deutsche Auslandspostämter und Kolonien (1238) Apply Deutsche Auslandspostämter und Kolonien filter
- Deutsche Besetzung I. Weltkrieg und Nachfolgegebiete (294) Apply Deutsche Besetzung I. Weltkrieg und Nachfolgegebiete filter
- Deutsche Besetzung und Feldpost 1939-45 (432) Apply Deutsche Besetzung und Feldpost 1939-45 filter
- Deutsches Reich (816) Apply Deutsches Reich filter
- Deutschland (62) Apply Deutschland filter
- Deutschland Nach 1945 (578) Apply Deutschland Nach 1945 filter
- Europa (1181) Apply Europa filter
- Liechtenstein, Österreich, Schweiz (314) Apply Liechtenstein, Österreich, Schweiz filter
- Luftpost (509) Apply Luftpost filter
- Motivsammlungen (198) Apply Motivsammlungen filter
- Übersee (387) Apply Übersee filter
- Altdeutsche Staaten (1) Apply Altdeutsche Staaten filter
- Österreich (16) Apply Österreich filter
- Belgien (Belgique, België) (3) Apply Belgien (Belgique, België) filter
- Bulgarien (България) (1) Apply Bulgarien (България) filter
- Dänemark (Danmark) (1) Apply Dänemark (Danmark) filter
- Frankreich (3) Apply Frankreich filter
- Algerien (1) Apply Algerien filter
- Ungarn (Magyarország) (1) Apply Ungarn (Magyarország) filter
- Italien (2) Apply Italien filter
- Kirchenstaat (1) Apply Kirchenstaat filter
- Litauen (Lietuva) (1) Apply Litauen (Lietuva) filter
- Liechtenstein (5) Apply Liechtenstein filter
- Niederlande (1) Apply Niederlande filter
- Niederländisch-Indien (1) Apply Niederländisch-Indien filter
- Norwegen (Norge, Noreg) (5) Apply Norwegen (Norge, Noreg) filter
- Portugal (1) Apply Portugal filter
- Russland (Poccия) (2) Apply Russland (Poccия) filter
- San Marino (1) Apply San Marino filter
- Schweden (Sverige) (2) Apply Schweden (Sverige) filter
- Schweiz (Helvetia) (1) Apply Schweiz (Helvetia) filter
- Basel (1) Apply Basel filter
- Ukraine (Уkpaïha) (1) Apply Ukraine (Уkpaïha) filter
- Argentinien (2) Apply Argentinien filter
- Bolivien (1) Apply Bolivien filter
- China (1) Apply China filter
- Guatemala (1) Apply Guatemala filter
- Haiti (République D'Haïti) (1) Apply Haiti (République D'Haïti) filter
- Honduras (1) Apply Honduras filter
- Iran (Persien) (1) Apply Iran (Persien) filter
- Mexiko (2) Apply Mexiko filter
- Peru (2) Apply Peru filter
These data records were left in the page by mistake >
........
Formula: C23H43EuN2OP3Se
Source: the Open Molecules 2025 dataset
Level of theory: ωB97M-V with the def2-TZVPD basis set

Structure (ORCA input):
```
! wB97M-V def2-TZVPD RIJCOSX def2/J DEFGRID3
* xyz 3 7
H -1.88 -2.96 -2.47
C -0.77 -3.78 0.13
H -0.32 2.85 2.71
C 0.41 -0.55 3.74
H -1.79 1.52 1.71
P -1.21 -2.15 -0.37
Eu 0.10 -0.28 0.65
H -2.65 0.00 1.21
H 2.24 2.09 3.06
H 0.59 4.09 1.79
H -4.15 3.96 -7.23
H 1.92 0.82 -2.59
H 0.43 -0.45 5.87
H -2.17 2.51 -2.90
H 1.10 -0.67 -3.08
H 1.45 -3.02 1.75
H -2.09 0.48 -1.19
H 2.45 2.29 -1.03
H 3.28 1.29 1.86
C -3.82 3.50 -3.87
H -1.39 -4.46 -0.47
C -1.90 0.74 0.98
H -4.34 3.71 -2.93
H 1.53 -3.14 -1.57
H 3.71 0.78 -0.24
C -1.17 -2.18 -2.16
C -1.57 1.01 -0.41
H 0.85 -1.49 7.68
H -5.34 4.44 -5.09
C 1.97 -0.28 -2.54
N 0.68 -1.23 2.61
H 1.51 -2.86 8.46
H 4.35 -0.71 -0.98
H -1.98 2.76 -7.20
O 2.11 -4.11 6.43
H 3.02 3.05 1.77
C 1.24 -2.45 2.72
H -3.43 -1.17 -0.41
C 0.69 -1.07 4.98
C 1.25 -2.32 5.11
C 2.33 -2.61 -1.05
H -3.16 -2.15 1.05
C -1.92 2.55 -5.05
C 1.54 -3.02 3.92
H -0.17 1.46 -3.61
H 1.86 3.81 -0.30
C -4.39 3.92 -5.08
H 2.89 -0.63 -3.04
Se -0.26 1.64 -5.13
C 2.54 2.09 2.00
H -0.88 3.36 1.10
P 1.12 1.98 0.98
H -0.06 0.47 3.64
H 0.76 2.79 -1.29
C -2.61 2.83 -3.85
C -2.95 -2.08 -0.03
C 1.59 2.78 -0.56
C -3.72 3.65 -6.28
H -1.48 -1.21 -2.59
C 0.01 3.17 1.70
H -0.18 -2.42 -2.55
H 2.49 -3.10 -0.07
P 2.03 -0.87 -0.86
H 0.29 -4.02 -0.04
C 1.58 -2.99 6.41
H 3.83 -0.71 0.73
H 1.99 -4.03 3.93
H -0.98 -3.94 1.19
C -2.50 2.97 -6.27
H -1.23 1.99 -0.69
C 3.61 -0.31 -0.27
H -3.38 -2.95 -0.53
N 1.27 -2.34 7.64
H 3.25 -2.69 -1.64
*
```

Properties
- HOMO level (spin up / spin down) (eV) = -14.35 / -14.35
- HOMO-LUMO gap (spin up / spin down) (eV) = 3.03 / 3.10
- relative energy (zero: lowest compared OMol25 entry of this formula, charge and spin) (kcal/mol) = 102.4
- expectation value of S² = 12.023

Formula: C23H43F6N3O6PS4Ti
Source: the Open Molecules 2025 dataset
Level of theory: ωB97M-V with the def2-TZVPD basis set

Structure (ORCA input):
```
! wB97M-V def2-TZVPD RIJCOSX def2/J DEFGRID3
* xyz -2 2
H -0.07 3.83 3.40
H -3.39 0.97 -2.58
H -2.55 -4.97 -1.83
S 4.00 2.60 -2.25
C -1.99 -0.51 0.92
F 6.08 1.66 -3.58
H 0.01 3.36 -1.40
C -2.40 1.37 -2.83
H -2.29 -0.59 -1.25
O 4.94 3.15 -1.31
H 0.53 3.96 0.58
C -1.35 1.74 0.94
C -1.84 2.22 -1.68
O 3.67 3.39 -3.41
H -2.94 2.76 2.83
S 2.72 1.43 -0.09
H -4.62 -2.22 2.28
C -2.02 -0.01 -0.39
H 0.57 0.26 3.02
H -2.63 4.03 -0.70
C 4.95 1.21 -2.99
P 0.71 -2.54 -1.77
N 1.24 -0.13 2.36
H -3.98 -0.63 2.75
H -1.04 4.52 0.00
C -0.48 4.22 0.88
H -3.16 3.80 -2.36
H 4.21 -4.13 -1.17
C -0.21 2.87 2.89
H -1.75 0.54 -3.10
N 2.73 1.93 -1.66
H 2.21 -1.20 3.72
H -4.62 -0.88 1.11
H -3.32 -3.70 0.74
H -0.64 2.19 3.63
H -2.40 4.44 2.77
H -0.91 -2.70 2.35
H 0.40 -5.42 -2.51
Ti 0.32 0.00 0.24
C 3.32 0.81 4.39
H 0.13 2.12 -2.60
C -1.56 0.57 1.73
S 0.76 -2.65 0.22
F 4.25 0.55 -3.93
C -1.65 1.38 -0.42
F 5.32 0.31 -2.06
H -2.51 2.00 -3.71
H -0.24 -4.99 -0.91
H -3.46 -2.42 -0.47
H 2.20 -1.85 2.22
........
- Puerto Rico (1) Apply Puerto Rico filter
- Vereinigte Staaten von Amerika (1) Apply Vereinigte Staaten von Amerika filter
- Australische Staaten (1) Apply Australische Staaten filter
- Bermuda (1) Apply Bermuda filter
- Britisch Guiana (1) Apply Britisch Guiana filter
- Kanada (1) Apply Kanada filter
- Portomarken (1) Apply Portomarken filter
- Indien (1) Apply Indien filter
8 p. in imperforated block of 25, ungummed (proof?), some light creasing
1917/18, 1 a. ultramarine, 2 copies, tied by Palpa sqare negative postmark to cover
1887/1904, postcard 2 p. , Type 12, used with Kathmandu negative cancel
1863, 1 real plata F. emerald green, good to large margins with adjoining part of neighbouring stamp at left, tied by oval `parilla´ cancel with cds. "MANILLA 20 FEB. 1869" to envelope to Madrid, endorsed "Via del Isme de Suez", reverse arrival cds. "MADRID 17 ABR. 69", fine and scarce
1923, Mount Ararat 3 k. rose, 9 k. dark blue and Revenue 250 on 1 k., all tied by cds. "SUKHUMI 21 12 23" to registered envelope, undelivered and returned to Sukhumi, where the receiver handstamp "SUKHUMI 22 3. 24" was applied. Cover opened for display, shortened at right and small fault, otherwise fine and very rare usage of a fiscal stamp added to a re-addressed mail, certificate Ceresa (2014)
1847, Washington 10 c. black, fresh colour, good to large margins all round, used with red grid cancel, very fine
1851, 3 c. brownish carmine, Type II, clear to large margins with left sheet border, neatly tied by cds. "ROXBURY AUG 31 1857 Ms." to small embossed Lady´s envelope to Sunapee, New Hampshire, 3 c. with negligible tone spot at the margin´s upper left corner, mentioned for accuracy, a very fine and attractive cover
1857, Washington 3 c. dull red, Type III, tied by four-ring cancel with adjacent cds. "RANDOLPH 13 JUN NY" to patriotic envelope to the Broadway Hotel in Cincinnati, Ohio, colourfull illustration with canon, flag and slogan "If any attempts to haul down the American flag, shoot him on the spot.", 3 c. a few pulled perfs, still a fine and appealing usage
3 c. ultramarine, tied to to fancy cover with print of a dove 'carrying' the address, from "POSTVILLE N.Y. DEC. 8", to West Clarksville. Very fine and most attractive.
1869, Pictorial 15 c. brown/blue, Type II, tied by mute bars circle to an envelope to France with red cds. "BOSTON 30 NOV PAID", "PD" and blue entry cds. "ET.-UNIS 13 DEC 69", one trivial toned perf., some small envelope faults due to the fragile pelure nature of the paper, still fine, sign. and certificate Bühler (1981)
1869, 90 c. carmine/black, used, fine
1870/71, 1 c. blue, tied by blue cork to postcard 1 c. brown, from "LOUISVILLE MAY 15"(1874) to Germany, early use
1861, Washington 3 c. rose and Jackson 2c. black, two singles each, on 1863 advertising cover from Philadelphia to Guatemala, dated 22 October 1863, tied by two strikes of the Philadelphia datestamp and two grid cancels in black, with part New York Packet mark dated 24 October in red, addressed to "Hon. E. O. Crosby", President Lincoln's Ambassador in Guatemala, the cover was taken on an American steamer at the letter rate of 10c per oz.; horizontal filing crease, horizontal filing crease not affecting stamps, some acid ink erosion and stained, rare cover, being the only known example franked with US 2c black Jacks to Guatemala.
1861, Jefferson 5 c. buff, fresh colours, tied by circular grid "PAID" on folded entire to Calcutta, reverse departure and London transit cds., arrival boxed "CALCUTTA STEAMLETTER 1862 JUL 28", one short perf., still a fine, attractive and scarce franking from the Goddard correspondence
1861, Jefferson 5 c. red brown, fresh colours, tied by large barred circle "PAID" to folded entire from the Goddard correspondence to Calcutta, India, reverse cds. "BOSTON JAN 21", transit and arrival cds. "CALCUTTA MA 3 1863", 5 c. one short perf at base, the fragile entire with some hinge reinforcement, otherwise a fine and very scarce single franking to India, certificate Philatelic Foundation (1973)
1893, Columbus 1 $. salmon, tied by oval cds. "NEW YORK R" on registered 5 c. postal stationery to Germany, departure, transit and arrival cds. "PYMONT 22.8.97" on reverse, fine
1893, 3 $. yellow green, used with oval cds. "NEW YORK REG", fine, signed Jakubek BPP
1926, White Plains 2 c. carmine rose, cpl. souvenir sheet tied by cds. "NEW YORK OCT 1926" to registered airmail cover to Los Angeles, reverse cds. "NEW YORK (Int"l Philatelic Exhibition Sta.) OCT 23 1926" and arrival, fine and scarce early usage during the first week of the exibition
1930, Graf Zeppelin 65c. -2,60$, tied by machine cancel to Zeppelincard resp. Zeppelincover to Wien resp. New York, some minor againg, otherwise fine
1930, Graf Zeppelin 1,30$, tied by machine cancel to Zeppelincover "Südamerikafahrt" to Lörrach, fine
1912, George Washington 2 c. and Benjamin Franklin 10 c. with oval cancellation "NEW YORK N.J." on registered cover "Ozean-Brief" with sender address cancel "Kaiser Wilhelm der Große" on reverse to San Francisco with arrival mark from 30-9.12. The envelope vertical foldet and file holes at left closed, otherwise fine
1925, Theodore Roosevelt 5 c. and Grover Cleveland 12 c. with mude cancel "NEW YORK C" on registered preprinted cover "OCEAN LETTER" of "Marconi International Marine Communication" with sender note "SS Majestic" and complete letter to Baltimore with arrival mark from 18.8.1925. The cover with a small opening defect at the top left, otherwise fine
1929, Woodrow Wilson 17 c. with oval mude mark "NEW YORK" on registered preprindet cover "RADIO BREV" with senders note "S/S Oscar II" to Broklyn with arrival mark from 26.6.1929. The cover with slight traces of transportation and slightly shortened on the left side, otherwise fine, till now only a few letters outside Denmark are known
1893, Columbian Exposition, 10 unused illustrated 1 c. postcards by Charles Goldsmith, series N°1 with designs one to ten, very fine
1851, Eagle 1 c. blue and Washington 3 c. dull red, the later cissor´s cut at bottom right and right frame touched, tied together by faint cds. "PHILADELPHIA DEC 28" to small envelope to Delafield, Winsconsin, 1 c. with typical red star cancel. A very fine and scarce usage
1939, Christmas Seal National Tuberculosos Association, complete imperforated sheet of 100 with the center 4 being special vignettes, signed by the artist "Rockwell Kent", reverse with numeral "51". One hundred imperforated sheet have been printed, two of which have been given to each state, with corresponding letter of confirmation from the Nation Tuberculosos Associates dated February 15, 1940
1913, Columbus Stationery Card 1 c. green/black, fresh colour, perforated with special two-line "SPECIMEN A.B.N.Co." together with red overprint "F6235" at top,; very fine, a very rare specialist item
1894, "COMITÉ INTERNATIONAL OLYMPIQUE", embossed vignette in blue & white, unmounted mint, very fine
1911, official postcard "COMITE INTERNATIONAL OLYMPIQUE" written by Pierre de Coubertin with his signature "..en hate P.C.", from "GSTAAD 5.III.11" to Maurice Pottecher (competed in the 1912 games in Literature) at Paris. Very rare and most attractive.
2Katalog-Nr.1116 proof
30 Fr., epreuve d'artiste in orange-brown with artist's signature 'R. Serres', very fine
Molecular data that have nothing to do with the entry =
~~~
Record 1
Density functional theory data (ωB97M-V with the def2-TZVPD basis set) for a molecular structure, C47H61BrClN9O3PS2SiTl at a distorted geometry.

Atoms and positions in Å:
Tl (-0.36994, -0.46323, 0.06029)
N (-5.12399, -3.21358, 3.66254)
C (-4.98174, -2.59168, 2.40270)
C (-5.65251, -3.07979, 1.28846)
C (-5.51484, -2.45346, 0.05484)
C (-4.70592, -1.33573, -0.06577)
C (-4.04128, -0.83912, 1.05314)
C (-4.18594, -1.45627, 2.27873)
S (-4.39404, -0.57582, -1.63377)
O (-5.34079, -1.14109, -2.57090)
O (-4.46529, 0.85619, -1.41381)
N (-2.87996, -0.92561, -1.89580)
C (-2.46438, -2.19358, -2.06449)
N (-1.11148, -2.32931, -2.12464)
C (-0.61715, -3.51484, -2.40050)
C (-1.41471, -4.63782, -2.58210)
C (-2.77051, -4.42574, -2.39759)
N (-3.31192, -3.24402, -2.14974)
H (-5.28747, -4.20740, 3.58745)
H (-4.33156, -3.03606, 4.26342)
H (-6.25641, -3.97753, 1.37883)
H (-6.00204, -2.83953, -0.83035)
H (-3.39794, 0.02605, 0.96620)
H (-3.64936, -1.06720, 3.13772)
H (0.46786, -3.57426, -2.45613)
H (-1.00240, -5.61481, -2.78958)
H (-3.46605, -5.26123, -2.44519)
Br (1.57340, -0.38400, -2.69707)
C (3.22736, -0.92412, -1.98548)
C (4.32504, -0.77057, -2.78058)
C (5.58897, -1.19835, -2.30916)
C (5.68998, -1.77123, -1.07948)
C (4.54807, -1.93801, -0.25022)
C (4.67298, -2.55793, 1.01889)
C (3.56690, -2.72027, 1.79757)
C (2.30919, -2.23527, 1.35942)
C (2.09298, -1.60280, 0.15910)
C (3.25933, -1.49450, -0.67240)
H (4.22435, -0.32732, -3.76189)
H (6.46483, -1.06755, -2.93362)
H (6.65153, -2.11385, -0.71033)
H (5.65162, -2.89183, 1.34831)
H (3.65519, -3.20689, 2.76592)
H (1.47288, -2.37152, 2.03578)
S (-1.66865, -3.85619, 1.14264)
C (-0.99735, -3.46702, 2.60572)
N (-0.24368, -4.25870, 3.41021)
C (0.05213, -3.64704, 4.69124)
C (-0.27760, -2.17074, 4.41202)
N (-1.14866, -2.27335, 3.25287)
H (-0.15559, -5.23493, 3.19700)
H (1.09718, -3.78629, 4.96991)
H (-0.57988, -4.05077, 5.48951)
H (0.61936, -1.59276, 4.19005)
H (-0.79143, -1.70178, 5.25025)
H (-1.40519, -1.45241, 2.71163)
C (-3.64984, 3.66461, 4.70924)
Si (-3.78972, 1.88798, 4.12047)
C (-4.30873, 0.87250, 5.61140)
C (-5.20101, 1.83242, 2.89523)
C (-2.20366, 1.35842, 3.50103)
C (-1.02597, 1.15183, 3.18620)
H (-4.57047, 3.98999, 5.20452)
H (-3.46252, 4.33141, 3.86378)
H (-2.81661, 3.77468, 5.40663)
H (-5.05403, 1.41327, 6.20318)
H (-3.45011, 0.65368, 6.24925)
H (-4.75399, -0.07752, 5.30198)
H (-6.01125, 2.47534, 3.25336)
H (-5.58973, 0.81883, 2.77532)
H (-4.89965, 2.17191, 1.90013)
C (-0.13030, 3.16239, -4.93027)
C (1.21346, 3.84773, -5.22424)
C (1.11513, 4.42959, -6.64318)
C (2.30091, 2.76648, -5.18494)
C (1.53832, 5.01426, -4.22473)
O (0.46636, 5.95473, -4.17009)
C (2.75068, 5.82811, -4.75194)
C (3.71567, 6.49340, -3.75116)
C (4.74742, 5.54826, -3.17066)
C (5.66520, 4.92574, -4.01244)
C (6.59522, 4.02015, -3.53008)
C (6.61329, 3.72784, -2.17622)
Cl (7.76788, 2.57119, -1.56764)
C (5.72988, 4.34164, -1.30699)
C (4.81344, 5.25308, -1.81138)
C (1.83404, 4.53065, -2.80790)
N (0.74871, 3.84902, -2.13791)
~~~
2Katalog-Nr.1116 proof
30 Fr., epreuve d'artiste in red with artist's signature 'R. Serres'
0 1 6Katalog-Nr.
Pierre de Coubertin, nice lot with epreuve de luxe, maximum cards, Haiti 1939 FDC, etc.
1896, official envelope with the return address of the Secretary-General of the Greek Olympic Committee, used locally from "ATHENS 29 MAR. 1896" (4th day of the games) with adjacent violet cachet. Little roughly opened, otherwise fine and fresh. A rare item.
1896, Greek Olympic Committee newspaper wrapper (open on three sides), used locally from "ATHENS 3 APR. 1896" (last day of the games) with adjacent red cachet. Very fine and rare.
1896, Greek Olympic Committee newspaper wrapper (open on three sides), used locally from "ATHENS 1 APR. 1896" (8th day of the games) with adjacent violet cachet. Very fine and rare.
~~~
(1)
# C18H52NO6P

A cluster of 6 separate species, C18H52NO6P in total (ωB97M-V/def2-TZVPD, the Open Molecules 2025 dataset).

Properties
- Kohn-Sham gap: 9.782 eV
- Max |F|: 0.33 eV/Å

Geometry (Å):
C1 -1.551 0.679 -0.835
C2 -1.907 1.502 0.392
O1 -3.086 1.106 1.056
P1 -4.653 1.585 0.464
C3 -5.012 -0.043 -0.247
N1 -6.142 2.338 -0.123
H1 -2.240 0.839 -1.668
H2 -0.553 0.927 -1.202
H3 -1.555 -0.383 -0.572
H4 -1.977 2.563 0.097
H5 -1.097 1.432 1.124
H6 -3.978 2.605 -0.251
H7 -4.980 1.654 1.826
H8 -5.939 -0.034 -0.816
H9 -4.171 -0.334 -0.872
H10 -5.070 -0.761 0.572
H11 -6.098 3.350 -0.070
H12 -7.010 2.048 0.318
C4 2.793 1.205 -4.805
C5 1.345 1.065 -4.375
C6 0.428 2.027 -5.109
O2 1.216 1.216 -2.954
H13 3.160 2.217 -4.604
H14 3.414 0.488 -4.271
H15 2.896 1.016 -5.875
H16 1.026 0.037 -4.545
H17 0.729 3.063 -4.924
H18 -0.603 1.899 -4.780
H19 0.474 1.855 -6.185
H20 1.468 2.118 -2.721
C7 -0.455 -2.518 -2.844
C8 -0.049 -2.932 -4.251
C9 0.053 -4.440 -4.407
O3 1.160 -2.290 -4.634
H21 0.285 -2.876 -2.121
H22 -0.508 -1.432 -2.766
H23 -1.422 -2.944 -2.569
H24 -0.790 -2.550 -4.960
H25 0.806 -4.837 -3.720
H26 0.340 -4.700 -5.424
H27 -0.898 -4.923 -4.174
H28 1.869 -2.553 -4.028
C10 -0.574 2.331 4.701
C11 -1.506 3.453 4.281
C12 -2.928 3.230 4.767
O4 -1.477 3.631 2.866
H29 -0.928 1.385 4.278
H30 0.441 2.511 4.349
H31 -0.543 2.221 5.786
H32 -1.134 4.403 4.675
H33 -3.321 2.298 4.350
H34 -3.572 4.052 4.454
H35 -2.962 3.152 5.855
H36 -1.789 2.808 2.468
C13 5.795 -2.276 -1.885
C14 4.586 -1.561 -2.457
C15 3.850 -0.723 -1.428
O5 3.693 -2.497 -3.079
H37 5.490 -2.941 -1.071
H38 6.293 -2.866 -2.653
H39 6.507 -1.558 -1.475
H40 4.905 -0.927 -3.288
H41 3.512 -1.358 -0.603
H42 2.982 -0.235 -1.872
H43 4.509 0.039 -1.008
H44 3.391 -3.106 -2.392
C16 0.101 -1.102 6.868
C17 1.020 -0.908 5.674
C18 1.719 -2.193 5.265
O6 1.963 0.136 5.917
H45 0.674 -1.446 7.734
H46 -0.393 -0.166 7.124
H47 -0.662 -1.853 6.654
H48 0.435 -0.533 4.831
H49 2.336 -2.565 6.088
H50 2.358 -2.020 4.400
H51 0.994 -2.969 5.017
H52 2.516 -0.129 6.661

Cartesian forces, eV/Å:
0.085 -0.281 0.088
0.024 0.193 -0.244
0.071 -0.104 0.087
0.067 0.310 0.075
0.063 0.005 0.042
-0.061 0.128 0.075
-0.096 0.008 0.077
-0.042 0.030 0.048
-0.031 0.041 -0.086
0.002 -0.038 0.079
0.037 -0.025 -0.054
-0.043 -0.107 -0.050
-0.119 -0.023 0.002
0.051 0.001 -0.003
-0.033 -0.062 -0.076
0.046 0.012 -0.013
-0.005 -0.039 -0.020
0.086 -0.073 -0.028
-0.037 0.040 -0.036
-0.067 -0.178 0.073
0.016 0.014 0.009
0.048 0.154 0.032
0.020 -0.017 0.017
0.030 0.008 0.020
-0.001 -0.002 0.003
0.015 0.031 -0.110
-0.019 -0.001 0.008
0.000 0.018 0.006
-0.010 -0.005 0.001
0.000 -0.022 -0.022
0.029 -0.058 0.003
-0.064 0.149 -0.034
0.012 -0.002 0.065
0.013 -0.144 -0.021
-0.007 0.024 0.008
0.011 -0.005 0.011
-0.008 0.017 -0.007
-0.020 -0.044 0.029
0.005 -0.012 -0.025
0.017 -0.008 0.005
-0.004 0.002 -0.014
0.092 0.207 -0.105
-0.033 -0.049 0.005
0.048 0.136 -0.007
0.016 -0.047 0.008
-0.035 -0.074 0.013
0.019 0.003 0.003
-0.004 -0.012 -0.015
0.001 0.013 0.002
~~~
Olympic issue 1 l. – 10 dr., unused with original gum, fine/ very fine